I am working on configuring a JWT (JSON Web Token) for connection to Box. I am hoping to make it so others can use this when I am done.
I got these packages from Nuget for the encoder:
I know I can download the Nuget cli tool with this command:
choco install nuget.commandline /y /f
I used Visual Studio to make these packages available, and then pulled them into PowerShell like this:
#MS Owin for base64url encoding
$Owin = 'C:\folder\tf\DevOps\Box\BoxConnect\packages\Owin.1.0\lib\net40\Owin.dll'
$msOwin = 'C:\folder\tf\DevOps\Box\BoxConnect\packages\Microsoft.Owin.3.0.1\lib\net45\Microsoft.Owin.dll'
$msOwinSec = 'C:\folder\tf\DevOps\Box\BoxConnect\packages\Microsoft.Owin.Security.3.0.1\lib\net45\Microsoft.Owin.Security.dll'
Add-Type -Path $Owin
Add-Type -Path $msOwin
Add-Type -Path $msOwinSec
# get a base64url encoder object
$encoder = New-Object Microsoft.Owin.Security.DataHandler.Encoder.Base64UrlTextEncoder
What I want to know, is could I have made those packages available using PowerShell or the Nuget CLI through PowerShell?
you dont need external classes to work with uri’s
Uri Class
Convert.ToBase64String Method (Byte)
you only need to know the encoding rules
I don’t know how to make that usable in PowerShell.
Here is an example of what I am trying to do:
#MS Owin for base64url encoding
$Owin = 'C:\EEDevOps\TeamFoundation\DevOps\Box\BoxConnect\packages\Owin.1.0\lib\net40\Owin.dll'
$msOwin = 'C:\EEDevOps\TeamFoundation\DevOps\Box\BoxConnect\packages\Microsoft.Owin.3.0.1\lib\net45\Microsoft.Owin.dll'
$msOwinSec = 'C:\EEDevOps\TeamFoundation\DevOps\Box\BoxConnect\packages\Microsoft.Owin.Security.3.0.1\lib\net45\Microsoft.Owin.Security.dll'
Add-Type -Path $Owin
Add-Type -Path $msOwin
Add-Type -Path $msOwinSec
# get a base64url encoder object
$encoder = New-Object Microsoft.Owin.Security.DataHandler.Encoder.Base64UrlTextEncoder
# we then serialize to UTF-8 bytes, then base64url encode the claims
Starting from a structure optimized by DFT (GGA-PBE), the powder XRD pattern of LiYGa2 was computed for Cu Kα (weighted mean of Kα1 and Kα2).

Principal peaks in the range 2θ = 10–80°, in order of falling intensity:
d = 2.335 Å, 38.6 deg, I = 100; d = 3.603 Å, 24.7 deg, I = 96; d = 2.143 Å, 42.2 deg, I = 91; d = 2.640 Å, 34.0 deg, I = 89; d = 1.579 Å, 58.5 deg, I = 29; d = 1.271 Å, 74.7 deg, I = 27; d = 1.317 Å, 71.7 deg, I = 25; d = 1.664 Å, 55.2 deg, I = 21; d = 1.314 Å, 71.8 deg, I = 19; d = 1.392 Å, 67.2 deg, I = 16; d = 1.237 Å, 77.1 deg, I = 14; d = 1.842 Å, 49.5 deg, I = 14

Atomic structure:
Unit cell a=4.2853 b=4.2853 c=15.0225 alpha=90.00 beta=90.00 gamma=120.00
Space group R-3m (No. 166, hexagonal axes)
Unique sites:
Li 0.0000 0.0000 0.0000 (multiplicity 3)
Y 0.0000 0.0000 0.5000 (multiplicity 3)
Ga 0.0000 0.0000 0.2891 (multiplicity 6)

Starting from a structure optimized by DFT (GGA-PBE), the powder XRD pattern of LiYGa4 was computed for Cu Kα (weighted mean of Kα1 and Kα2).

Principal peaks in the range 2θ = 10–80°, in order of falling intensity:
d = 2.541 Å, 35.3 deg, I = 100; d = 2.176 Å, 41.5 deg, I = 98; d = 3.306 Å, 27.0 deg, I = 60; d = 1.959 Å, 46.3 deg, I = 31; d = 1.653 Å, 55.6 deg, I = 26; d = 1.316 Å, 71.7 deg, I = 24; d = 1.839 Å, 49.6 deg, I = 18; d = 3.441 Å, 25.9 deg, I = 18; d = 1.257 Å, 75.7 deg, I = 16; d = 1.350 Å, 69.7 deg, I = 14; d = 1.293 Å, 73.2 deg, I = 13; d = 6.881 Å, 12.9 deg, I = 13

Atomic structure:
Unit cell a=4.3527 b=4.3527 c=6.8813 alpha=90.00 beta=90.00 gamma=120.00
Space group P-6m2 (No. 187)
Unique sites:
Li 0.0000 0.0000 0.0000 (multiplicity 1)
Y 0.0000 0.0000 0.5000 (multiplicity 1)
Ga 0.3333 0.6667 0.1914 (multiplicity 2)
Ga 0.6667 0.3333 0.2761 (multiplicity 2)

Starting from a structure optimized by DFT (GGA-PBE), the powder XRD pattern of Li2Y2Ga was computed for Cu Kα (weighted mean of Kα1 and Kα2).

Principal peaks in the range 2θ = 10–80°, in order of falling intensity:
d = 2.772 Å, 32.3 deg, I = 100; d = 2.568 Å, 34.9 deg, I = 62; d = 3.052 Å, 29.3 deg, I = 39; d = 3.385 Å, 26.3 deg, I = 38; d = 2.375 Å, 37.9 deg, I = 28; d = 2.158 Å, 41.9 deg, I = 24; d = 4.750 Å, 18.7 deg, I = 24; d = 1.563 Å, 59.1 deg, I = 24; d = 2.413 Å, 37.3 deg, I = 23; d = 1.524 Å, 60.8 deg, I = 18; d = 1.874 Å, 48.6 deg, I = 18; d = 1.597 Å, 57.7 deg, I = 18

Atomic structure:
Unit cell a=6.8250 b=6.8250 c=4.7503 alpha=90.00 beta=90.00 gamma=90.00
Space group P4/mbm (No. 127)
Unique sites:
Li 0.1306 0.3694 0.0000 (multiplicity 4)
Y 0.1881 0.6881 0.5000 (multiplicity 4)
Ga 0.0000 0.0000 0.0000 (multiplicity 2)

Starting from a structure optimized by DFT (GGA-PBE), the powder XRD pattern of LiZn4Ga5 was computed for Cu Kα (weighted mean of Kα1 and Kα2).

Principal peaks in the range 2θ = 10–80°, in order of falling intensity:
$header = $encoder.Encode([System.Text.Encoding]::UTF8.GetBytes($rawheader))
$claims = $encoder.Encode([System.Text.Encoding]::UTF8.GetBytes($rawclaims))
Can you walk me through how I can use what you are explaining?
I see your example in other topic, the blog post from which you get it and I still believe you don’t need owin
# instead of
# [...]
-- Crystal structures from another source follow --
____________
The following is a theoretical powder XRD pattern of Mg11Mn2O13. It was derived from a GGA+U-relaxed structure, using λ = 1.5418 Å (Cu Kα).

Lattice parameters (Å, degrees): 19.9620 19.9620 19.9620 171.28 167.63 15.15
Atoms (fractional coordinates):
Mg1 0.0000 0.0000 0.0000
Mg2 0.0756 0.0756 0.0000
Mg3 0.2314 0.2314 0.0000
Mg4 0.3072 0.3072 0.0000
Mg5 0.3860 0.3860 0.0000
Mg6 0.4620 0.4620 0.0000
Mg7 0.5380 0.5380 0.0000
Mg8 0.6140 0.6140 0.0000
Mg9 0.6928 0.6928 0.0000
Mg10 0.7686 0.7686 0.0000
Mg11 0.9244 0.9244 0.0000
Mn1 0.1534 0.1534 0.0000
Mn2 0.8466 0.8466 0.0000
O1 0.0377 0.5377 0.5000
O2 0.1124 0.6124 0.5000
O3 0.1945 0.6945 0.5000
O4 0.2695 0.7695 0.5000
O5 0.3467 0.8467 0.5000
O6 0.4239 0.9239 0.5000
O7 0.5000 0.0000 0.5000
O8 0.5761 0.0761 0.5000
O9 0.6533 0.1533 0.5000
O10 0.7305 0.2305 0.5000
O11 0.8055 0.3055 0.5000
O12 0.8876 0.3876 0.5000
O13 0.9623 0.4623 0.5000

Main lines, low angle first (10 to 80 degrees two-theta):
d (Å)	I (rel.)
6.596	3
4.088	4
3.423	2
2.483	19
2.321	2
2.150	100
1.521	47
1.518	9
1.297	7
1.296	3
1.242	8
1.240	9

=====

Mo2WSe4S2: calculated XRD peak list (Cu Kα), based on the PBE geometry in the Materials Project.

Largest 12 diffraction maxima, by angle, 2θ from 10° to 90°:
- 2θ 11.7, I = 100
- 2θ 14.7, I = 15
- 2θ 31.5, I = 26
- 2θ 31.6, I = 11
- 2θ 33.7, I = 16
- 2θ 36.3, I = 40
- 2θ 37.9, I = 48
- 2θ 43.8, I = 22
- 2θ 46.0, I = 38
- 2θ 56.1, I = 21
- 2θ 57.5, I = 10
- 2θ 79.6, I = 11

Crystal structure
Lattice parameters (Å, degrees): 3.2791 3.2791 30.1875 90.00 90.00 120.00
Positions (direct):
1 Mo 0.0000 0.0000 0.0000
2 Mo 0.3333 0.6667 0.2313
3 W 0.0000 0.0000 0.4627
4 Se 0.0000 0.0000 0.1754
5 Se 0.0000 0.0000 0.2872
6 Se 0.3333 0.6667 0.4065
7 Se 0.3333 0.6667 0.5190
8 S 0.3333 0.6667 0.0509
9 S 0.3333 0.6667 0.9491

=====

MoWSe3S: calculated XRD peak list (Cu Kα), based on the PBE geometry in the Materials Project.

Largest 12 diffraction maxima, by angle, 2θ from 10° to 90°:
- 2θ 11.8, I = 100
- 2θ 14.2, I = 25
- 2θ 31.5, I = 37
- 2θ 33.7, I = 12
- 2θ 37.0, I = 65
- 2θ 38.3, I = 10
- 2θ 44.8, I = 42
- 2θ 46.7, I = 16
- 2θ 56.0, I = 24
- 2θ 57.4, I = 11
- 2θ 69.0, I = 10
- 2θ 79.4, I = 11

Crystal structure
Lattice parameters (Å, degrees): 3.2862 3.2862 37.3659 90.00 90.00 120.00
Positions (direct):
1 Mo 0.0000 0.0000 0.0000
2 Mo 0.3333 0.6667 0.5636
3 W 0.0000 0.0000 0.3757
4 W 0.3333 0.6667 0.1879
5 Se 0.0000 0.0000 0.5185
6 Se 0.0000 0.0000 0.6088
7 Se 0.3333 0.6667 0.0451
8 Se 0.3333 0.6667 0.3303
9 Se 0.3333 0.6667 0.4211
10 Se 0.3333 0.6667 0.9549
11 S 0.0000 0.0000 0.1466
12 S 0.0000 0.0000 0.2291

=====

MoWSe2S2: calculated XRD peak list (Cu Kα), based on the PBE geometry in the Materials Project.

Largest 12 diffraction maxima, by angle, 2θ from 10° to 90°:
- 2θ 12.0, I = 100
- 2θ 14.4, I = 21
- 2θ 31.8, I = 35
- 2θ 34.1, I = 14
- 2θ 36.1, I = 11
- 2θ 37.4, I = 61
- 2θ 38.8, I = 13
- 2θ 45.4, I = 38
- 2θ 47.2, I = 15
- 2θ 56.6, I = 23
- 2θ 58.1, I = 11
- 2θ 80.4, I = 11
____________
$encoder = New-Object Microsoft.Owin.Security.DataHandler.Encoder.Base64UrlTextEncoder
$header = $encoder.Encode([System.Text.Encoding]::UTF8.GetBytes($rawheader))
# you can use
$header = [Convert]::ToBase64String([System.Text.Encoding]::UTF8.GetBytes($rawheader)) -replace '='
Next to the entry, the page also holds records of crystals:
'''
Entry 1:
Structure and simulated powder XRD pattern of IrRh (a crystal structure in the Materials Project, relaxed with GGA-PBE; Cu Ka).
Peak positions follow from Bragg's law for the DFT cell and can differ from measured ones.

Crystal structure
abc: 2.7301 2.7301 13.3777
angles: 90.00 90.00 120.00
Space group R-3m (No. 166, hexagonal axes)
Asymmetric unit:
Ir 0.0000 0.0000 0.0000 [3 per cell]
Rh 0.0000 0.0000 0.5000 [3 per cell]

Main lines, by angle (2θ from 5° to 70°):
Position (°2θ)	I (rel.)	hkl
19.9	11.3	0 0 3
38.7	6.8	1 0 1
40.5	100.0	0 1 2
47.1	48.7	1 0 4
51.6	3.1	0 1 5
62.5	2.4	1 0 7
68.8	31.4	1 1 0



Entry 2:
Structure and simulated powder XRD pattern of Sm2IrRh (a crystal structure in the Materials Project, relaxed with GGA-PBE; Cu Ka).
Peak positions follow from Bragg's law for the DFT cell and can differ from measured ones.

Crystal structure
abc: 7.0107 7.0107 7.0107
angles: 90.00 90.00 90.00
Space group Fm-3m (No. 225)
Asymmetric unit:
Sm 0.2500 0.2500 0.2500 [8 per cell]
Ir 0.0000 0.0000 0.0000 [4 per cell]
Rh 0.0000 0.0000 0.5000 [4 per cell]

Main lines, by angle (2θ from 5° to 70°):
Position (°2θ)	I (rel.)	hkl
22.0	4.4	1 1 1
36.2	100.0	2 2 0
42.8	2.5	3 1 1
52.2	17.7	4 0 0
57.3	1.1	3 3 1
65.2	36.1	4 2 2
69.7	0.9	5 1 1



Entry 3:
Structure and simulated powder XRD pattern of Tb2IrRh (a crystal structure in the Materials Project, relaxed with GGA-PBE; Cu Ka).
Peak positions follow from Bragg's law for the DFT cell and can differ from measured ones.

Crystal structure
abc: 6.8922 6.8922 6.8922
angles: 90.00 90.00 90.00
Space group Fm-3m (No. 225)
Asymmetric unit:
Tb 0.2500 0.2500 0.2500 [8 per cell]
Ir 0.0000 0.0000 0.0000 [4 per cell]
Rh 0.0000 0.0000 0.5000 [4 per cell]

Main lines, by angle (2θ from 5° to 70°):
Position (°2θ)	I (rel.)	hkl
22.3	4.2	1 1 1
36.9	100.0	2 2 0
43.6	2.4	3 1 1
53.2	17.6	4 0 0
58.4	1.1	3 3 1
66.5	35.8	4 2 2



Entry 4:
Structure and simulated powder XRD pattern of Ti2IrRh (a crystal structure in the Materials Project, relaxed with GGA-PBE; Cu Ka).
Peak positions follow from Bragg's law for the DFT cell and can differ from measured ones.

Crystal structure
abc: 6.2355 6.2355 6.2355
angles: 90.00 90.00 90.00
Space group Fm-3m (No. 225)
Asymmetric unit:
Ti 0.2500 0.2500 0.2500 [8 per cell]
Ir 0.0000 0.0000 0.0000 [4 per cell]
Rh 0.0000 0.0000 0.5000 [4 per cell]

Main lines, by angle (2θ from 5° to 70°):
Position (°2θ)	I (rel.)	hkl
24.7	10.9	1 1 1
28.6	34.0	2 0 0
40.9	100.0	2 2 0
48.4	6.0	3 1 1
50.7	10.0	2 2 2
59.3	16.4	4 0 0
65.2	2.6	3 3 1
'''
Back to the entry:
and get the same result